Could you search the calculation results further below for the word "coordinates" and reproduce each line that has it?

- - -
Entry 1:
The following is a PBE calculation of an optimized crystal structure of NiIrBr2, from the Alexandria database.

Theoretical density, g cm⁻³: 9.981

Unit cell a=4.6388 b=4.6388 c=3.1756 alpha=90.00 beta=90.00 gamma=90.07
With the nearest neighbours (Å) after each atom.
Atoms (fractional coordinates):
Ni 0.0000 0.0000 0.0000  8 Br 2.81
Ir 0.5000 0.5000 0.0000  8 Br 2.81
Br 0.0000 0.5000 0.5000  4 Ir 2.81, 4 Ni 2.81
Br 0.5000 0.0000 0.5000  4 Ir 2.81, 4 Ni 2.81

***

Entry 2:
The following is a PBE calculation of an optimized crystal structure of NiIrBr, from the Alexandria database.

Theoretical density, g cm⁻³: 11.331

Unit cell a=7.0614 b=6.7384 c=2.9342 alpha=83.97 beta=71.62 gamma=24.41
With the nearest neighbours (Å) after each atom.
Atoms (fractional coordinates):
Ni 0.0000 0.0000 0.0000  2 Ir 2.45, 2 Br 2.46
Ir 0.6505 0.6505 0.3495  2 Ni 2.45
Br 0.3484 0.3484 0.6516  2 Ni 2.46

***

Entry 3:
The following is a PBE calculation of an optimized crystal structure of NiIrBr2, from the Alexandria database.

Theoretical density, g cm⁻³: 7.819

Unit cell a=6.6126 b=6.6126 c=6.6126 alpha=127.99 beta=127.99 gamma=76.65
With the nearest neighbours (Å) after each atom.
Atoms (fractional coordinates):
Ni 0.0000 0.0000 0.0000  4 Br 2.36
Ni 0.7500 0.2500 0.5000  4 Br 2.36
Ir 0.2500 0.7500 0.5000  4 Br 2.49
Ir 0.5000 0.5000 0.0000  4 Br 2.49
Br 0.1068 0.6250 0.9818  2 Ni 2.36, 2 Ir 2.49
Br 0.3750 0.3568 0.4818  2 Ni 2.36, 2 Ir 2.49
Br 0.6432 0.1250 0.0182  2 Ni 2.36, 2 Ir 2.49
Br 0.8750 0.8932 0.5182  2 Ni 2.36, 2 Ir 2.49

***

Entry 4:
The following is a PBE calculation of an optimized crystal structure of NiIrBr, from the Alexandria database.

Theoretical density, g cm⁻³: 10.101

Unit cell a=4.2527 b=4.2527 c=4.2527 alpha=60.00 beta=60.00 gamma=60.00
With the nearest neighbours (Å) after each atom.
Atoms (fractional coordinates):
Ni 0.0000 0.0000 0.0000  4 Ir 2.60
Ir 0.2500 0.2500 0.2500  4 Br 2.60, 4 Ni 2.60
Br 0.5000 0.5000 0.5000  4 Ir 2.60

***

Entry 5:
The following is a PBE calculation of an optimized crystal structure of NiIrBr2, from the Alexandria database.

Theoretical density, g cm⁻³: 10.062

Unit cell a=4.5766 b=4.5766 c=4.5766 alpha=60.00 beta=60.00 gamma=60.00
With the nearest neighbours (Å) after each atom.
Atoms (fractional coordinates):
Ni 0.0000 0.0000 0.0000  8 Br 2.80
Ir 0.5000 0.5000 0.5000  8 Br 2.80
Br 0.2500 0.2500 0.2500  4 Ir 2.80, 4 Ni 2.80
Br 0.7500 0.7500 0.7500  4 Ir 2.80, 4 Ni 2.80

***

no.,electronic total energy (eV/atom),distance to the lowest polymorph of the same formula (meV per atom),formation energy (no corrections) (eV per atom)
1,-3.532,767.2,0.9649
2,-4.657,119.2,0.7810
3,-3.767,532.9,0.7305
4,-4.514,262.2,0.9240
5,-3.496,803.1,1.0008
- - -

Atoms (fractional coordinates):
Atoms (fractional coordinates):
Atoms (fractional coordinates):
Atoms (fractional coordinates):
Atoms (fractional coordinates):